I'm so behind and have so many things to talk about that I don't know what to write about first. I guess that's a good thing. Anyway, let's browse through the pictures to see what I've been doing lately....
Ah yes, now I remember. Last Thursday we had the skate park because it was no longer raining out, and the kids were eager to skate because a lot of them just got back from trips and vacations, and Wednesday we had no skate park because of the rain. Here are some pictures from Thursday.

So that was a most excellent (most hot) occasion.
Friday David was coming over, so I cleaned my room up and prepared for a sleep over of epic proportions and caliber. He came a little later than expected because of an incident involving some extra spicy nachos from a gas station. Ooo, not pretty.
Anyway, when he got here, we excitedly embarked on an exploratory mission in to the pine forest near my house. We ended up exploring to see what else there was back there, but didn't find much more than spider webs and really hot weather. We had fun, but were out there for at least an hour and came back to the house looking for some down time.
What we did at that time has completely escaped me. The little rascal is hiding in the bushes somewhere, but I can't seem to see him. Well, no matter. What happened later is of greater consequence.
As daylight started fading and summer heat began to diminish, we again set out. This time, after we'd gotten some taco bell I believe, we went to the area behind Spruce Run where no one usually goes. We followed the paths past the pond I found on one of my adventures and went deeper into the glades. It was fun having someone along with me this time. We tried to explore this really nice area with trees and fields, but it's private land apparently. We were rather disappointed, and I still really want to know what that place is. There was some sort of building back there, and cars drove up to it while we were back there. I'm thinking binoculars and much more exploring is in order for the future.
When we had given up on that area we went deep into the glades to see if we could get to the main lake of Spruce Run. Eventually the glades came to an end and we found a path going into the woods. We could see a large body of water through the trees and I was sure it was the lake, but we had to get through somehow. We continued to follow the path to a little clearing that looked like it would be great for camping, and lingered there for a couple minutes. Soon we found that the path continued past the clearing towards the lake. We followed the path and came to a small sort of beach line, complete with trees hanging down over the water, really clean water, amazing views and an awesome sun set.

Soon we had to get going because we were running out of daylight and we were tired and covered in ticks. While we were standing there we kept finding them on our clothes. On the way back we got to see even more amazing sights of sunset.

/*
(1)
# Ca2HBr2
Simulated X-ray powder pattern, CuKα. Input: DFT lattice parameters and positions (PBE).
No peak broadening, texture or thermal motion is included.

Largest 8 diffraction maxima, in order of falling intensity, 2θ = 15–90°:
- 19.2°, d = 4.614 Å, I = 100
- 27.3°, d = 3.262 Å, I = 41
- 23.0°, d = 3.868 Å, I = 27
- 43.9°, d = 2.063 Å, I = 21
- 43.0°, d = 2.104 Å, I = 19
- 39.0°, d = 2.307 Å, I = 15
- 31.8°, d = 2.812 Å, I = 15
- 47.5°, d = 1.915 Å, I = 14

Crystal structure
```
data_Ca2HBr2
_chemical_formula_sum 'Ca2 H1 Br2'
_space_group_name_H-M_alt 'P 4/m m m'
_space_group_IT_number 123
_space_group_name_Hall '-P 4 2'
_cell_length_a 4.614
_cell_length_b 4.614
_cell_length_c 14.188
_cell_angle_alpha 90.00
_cell_angle_beta 90.00
_cell_angle_gamma 90.00
loop_
_atom_site_label
_atom_site_type_symbol
_atom_site_fract_x
_atom_site_fract_y
_atom_site_fract_z
Ca1 Ca 0.000 0.000 0.148
H1 H 0.000 0.000 0.000
Br1 Br 0.000 0.000 0.327
```



(2)
# CaHBr
Simulated X-ray powder pattern, CuKα. Input: DFT lattice parameters and positions (PBE).
No peak broadening, texture or thermal motion is included.

Largest 8 diffraction maxima, in order of falling intensity, 2θ = 15–90°:
- 31.6°, d = 2.828 Å, I = 100
- 32.9°, d = 2.722 Å, I = 65
- 58.0°, d = 1.591 Å, I = 33
- 49.7°, d = 1.833 Å, I = 31
- 21.3°, d = 4.169 Å, I = 30
- 25.5°, d = 3.495 Å, I = 25
- 39.5°, d = 2.279 Å, I = 25
- 47.2°, d = 1.925 Å, I = 23

Crystal structure
```
data_CaHBr
_chemical_formula_sum 'Ca2 H2 Br2'
_space_group_name_H-M_alt 'P 4/n m m'
_space_group_IT_number 129
_cell_length_a 3.849
_cell_length_b 3.849
_cell_length_c 8.338
_cell_angle_alpha 90.00
_cell_angle_beta 90.00
_cell_angle_gamma 90.00
loop_
_space_group_symop_operation_xyz
'x,y,z'
'-x,-y,-z'
'-y+1/2,x,z'
'y+1/2,-x,-z'
'-x+1/2,-y+1/2,z'
'x+1/2,y+1/2,-z'
'y,-x+1/2,z'
'-y,x+1/2,-z'
'x+1/2,-y,-z'
'-x+1/2,y,z'
'-y,-x,-z'
'y,x,z'
'-x,y+1/2,-z'
'x,-y+1/2,z'
'y+1/2,x+1/2,-z'
'-y+1/2,-x+1/2,z'
loop_
_atom_site_label
_atom_site_type_symbol
_atom_site_fract_x
_atom_site_fract_y
_atom_site_fract_z
Ca1 Ca 0.250 0.250 0.156
H1 H 0.250 0.750 0.000
Br1 Br 0.250 0.250 0.681
```



(3)
# CaH12Br2O6
Simulated X-ray powder pattern, CuKα. Input: DFT lattice parameters and positions (PBE).
No peak broadening, texture or thermal motion is included.

Largest 8 diffraction maxima, in order of falling intensity, 2θ = 15–90°:
- 21.8°, d = 4.075 Å, I = 100
- 25.2°, d = 3.529 Å, I = 70
- 40.4°, d = 2.232 Å, I = 59
- 33.6°, d = 2.668 Å, I = 49
- 31.0°, d = 2.881 Å, I = 48
- 38.3°, d = 2.352 Å, I = 42
- 51.8°, d = 1.764 Å, I = 33
- 60.1°, d = 1.540 Å, I = 24

Crystal structure
```
data_CaH12Br2O6
_chemical_formula_sum 'Ca1 H12 Br2 O6'
_space_group_name_H-M_alt 'P 3 2 1'
_space_group_IT_number 150
_cell_length_a 8.1493
_cell_length_b 8.1493
_cell_length_c 4.0754
_cell_angle_alpha 90.00
_cell_angle_beta 90.00
_cell_angle_gamma 120.00
loop_
_space_group_symop_operation_xyz
'x,y,z'
'-y,x-y,z'
'-x+y,-x,z'
'y,x,-z'
'x-y,-y,-z'
'-x,-x+y,-z'
loop_
*/

That was it for our exploring that day. We were exhausted, so we went back to the house and watched the movie
Push which is very original and very well written. If you haven't seen it, it's one of those less popular gems that not many people know about it, but it's definitely worth it. It's sort of like a superhero or graphic novel movie, but so much more.
When that was done we wasted some time and then had to go pick up some friends from New York who had just arrived in Clinton at the bus stop. It was great that David was sleeping over this weekend because it ended up being an even more epic sleepover than we had originally planned. In total there were 15 people at our house this weekend. I'll walk you through it. Our family is 8- That's Dad and Angie, me, Daniel, Evan, Forrest, Grace and Daisy. After that there were Evan's friends Josh and Ben, and Forrest's friend Richard. That makes 11. Then we had our friends from NY: Sumi, Natasha and William. That's 14. Finally there was David, my friend, to make a total of 15 people staying out our house this weekend.
So it was like a math problem trying to figure out where everyone would stay and sleep. Our house is big (three stories with three bathrooms and five bedrooms), but it was still hard to find a place for everyone. Here's how it worked out. Evan, Josh and Ben were on the third floor (which we call the attic, but it's more like a second living room--stairway, 34 inch TV, carpets, games, etcetera), Forrest and Richard stayed in Evan and Forrest's room; Daisy and Grace were in their room; Dad and Angie were in their own room; David and I stayed in my room and finally Sumi, Natasha and William stayed in the living room on the couches; not my first choice for two women over the age of 18, but what could we do? Still, they're good sports and were fine with it.
Saturday was hot, so David and I hung around the house and played some Worms (the video game) and watched some youtube stuff and listened to music until it wasn't so hot out. Dad, Angie, Sumi, William, Grace and Daisy went to a rodeo in south Jersey. I know, weird right? I didn't know they had those in NJ. South Jersey is like a different state, I'm tellin' ya.
Later in the day David and I wanted to go exploring again, but this time we brought Natasha and Evan along. This is getting a little lengthy so I'll tone down the narrative and show mostly pictures.
We went to Hoffman Park, which is right down the road, but is really pretty. There's a rail line that goes right by it, and then the park it self is filled with over 500 ponds, some really pretty bird watching fields, and other interesting things. We saw some cool stuff. Here are some pictures:

Attached: crystal structures =
<<<
For Ce12SmTh7, the PBE geometry in Alexandria gives the simulated powder XRD pattern in this record (a wavelength of 1.5418 Å).
Intensities are scaled so that the largest is 100.

Most intense lines, 2θ from 10° to 80°, sorted by position:
2θ/deg	I_rel
22.69	90
25.41	37
27.88	31
30.17	32
32.31	100
39.85	98
46.34	50
50.78	25
62.73	41
72.34	52

Structure:
```
20
Lattice="-5.542 5.542 5.542 5.542 -5.542 5.542 5.542 5.542 -5.542" Properties=species:S:1:pos:R:3 pbc="T T T"
Ce 5.542 -2.169 3.211
Ce 3.373 2.330 0.000
Ce 7.711 2.330 0.000
Ce 3.211 5.542 -2.169
Ce 2.330 0.000 3.373
Ce 5.542 2.169 3.211
Ce 0.000 3.373 2.330
Ce 3.211 5.542 2.169
Ce 2.330 0.000 7.711
Ce -2.169 3.211 5.542
Ce 2.169 3.211 5.542
Ce 0.000 7.711 2.330
Sm 0.000 0.000 0.000
Th 2.771 2.771 -2.771
Th 2.771 -2.771 2.771
Th 5.542 0.000 0.000
Th -2.771 2.771 2.771
Th 0.000 5.542 0.000
Th 0.000 0.000 5.542
Th 2.771 2.771 2.771
```

~~~~~

[1]
Diffraction record for LuAl7Au3. The PXRD pattern is theoretical, not measured: it uses DFT lattice parameters and positions (PBE) and Cu Kα (weighted mean of Kα1 and Kα2).
Neutral-atom scattering factors, no anomalous dispersion.

Crystal structure
```
LuAl7Au3
1.0
4.0344 2.3292 7.0345
-4.0344 2.3292 7.0345
0.0000 -4.6585 7.0345
Lu Al Au
2 14 6
Direct
0.0000 0.0000 0.0000 Lu
0.5000 0.5000 0.5000 Lu
0.0697 0.8528 0.6667 Al
0.1472 0.3333 0.9303 Al
0.1667 0.3528 0.5697 Al
0.2500 0.2500 0.2500 Al
0.3333 0.9303 0.1472 Al
0.3528 0.5697 0.1667 Al
0.4303 0.8333 0.6472 Al
0.5697 0.1667 0.3528 Al
0.6472 0.4303 0.8333 Al
0.6667 0.0697 0.8528 Al
0.7500 0.7500 0.7500 Al
0.8333 0.6472 0.4303 Al
0.8528 0.6667 0.0697 Al
0.9303 0.1472 0.3333 Al
0.0755 0.7500 0.4245 Au
0.2500 0.5755 0.9245 Au
0.4245 0.0755 0.7500 Au
0.5755 0.9245 0.2500 Au
0.7500 0.4245 0.0755 Au
0.9245 0.2500 0.5755 Au
```

Largest 12 diffraction maxima, by intensity, 2θ from 10° to 80°:
25.45 deg, intensity 100; 46.82 deg, intensity 47; 38.66 deg, intensity 44; 33.81 deg, intensity 42; 44.70 deg, intensity 35; 66.64 deg, intensity 21; 62.30 deg, intensity 20; 66.88 deg, intensity 14; 74.18 deg, intensity 12; 52.28 deg, intensity 11; 38.10 deg, intensity 11; 25.32 deg, intensity 11


[2]
Diffraction record for LuAlAu. The PXRD pattern is theoretical, not measured: it uses DFT lattice parameters and positions (PBE) and Cu Kα (weighted mean of Kα1 and Kα2).
Neutral-atom scattering factors, no anomalous dispersion.

Crystal structure
```
LuAlAu
1.0
7.1534 0.0000 0.0000
-3.5767 6.1950 0.0000
0.0000 0.0000 4.1149
Lu Al Au
3 3 3
Direct
0.0000 0.4137 0.0000 Lu
0.4137 0.0000 0.0000 Lu
0.5863 0.5863 0.0000 Lu
0.0000 0.7575 0.5000 Al
0.2425 0.2425 0.5000 Al
0.7575 0.0000 0.5000 Al
0.0000 0.0000 0.0000 Au
0.3333 0.6667 0.5000 Au
0.6667 0.3333 0.5000 Au
```

Largest 12 diffraction maxima, by intensity, 2θ from 10° to 80°:
>>>
Back to the entry =

We found an abandoned barn thing and also a house that we didn't have time to explore, so we're going to go back sometime. Overall though, we got to see a lot there, and we were there for at least an hour, if not two. At the end, when we got back to the house, we were all thoroughly exhausted. David had to go home and I just vegged in front of the tv or my computer because I was too tired to do anything.
Sunday I went to church with the whole family, along with Sumi, Natasha and William, and later ran the skate park again. At the beginning it seemed that it would be too hot for a good day, but soon we had a lot of new arrivals to the skate park and it ended up being great. I was also really excited to see my friend Chris who I haven't seen since December! I got to meet his girl friend for the first time, and hopefully I'll be hanging out with Chris again soon!
In the midst of all of this weekend craziness I realized that I have less than a month till I go back to school at Asbury. To be completely honest I didn't realize how short a time I have left, but it makes me really excited! I will miss having free time and hanging out with David, but I am eager to go back to school so I can really sink my teeth into my major! Plus, I love living away from home, I love Kentucky, and I love all my friends at Asbury! I can't wait to go back; but on the other hand, I can't wait to see all of the adventures the rest of this summer holds!